On Windows machines everything in your script must be inside of an if __name__ == '__main__': block in order for multiprocess to work.
On Windows machines everything in your script must be inside of an if name == ‘main’: block in order for multiprocess to work.
在 Windows 机器上,脚本中的所有内容都必须位于 if _ _ name _ _ = =’_ _ main _ _’: 块中,这样多进程才能工作。
在 Windows 上的 python 中使用多处理时,需要保护程序的入口点。文档说: “确保新的 Python 解释器可以安全地导入主模块,而不会造成意想不到的副作用(比如启动新进程)(Make sure that the main module can be safely imported by a new Python interpreter without causing unintended side effects (such a starting a new process))”。
The multiprocessing module works by creating new Python processes that will import your module. If you did not add name== ‘main’ protection then you would enter a never ending loop of new process creation. It goes like this:
-- Someone pasted quantum chemistry results at this point --
+++
[1]
# C30H24ClNO4PPb

C30H24ClNO4PPb as an isolated structure in a non-equilibrium geometry (ωB97M-V with the def2-TZVPD basis set, the OMol25 dataset).

The geometry in XYZ format:
```
62
Properties=species:S:1:pos:R:3:forces:R:3
C -0.989 -2.401 2.200 1.030 0.466 1.273
C -0.868 -2.970 0.905 2.226 -0.786 -1.949
C 0.521 -3.060 0.582 -2.847 -0.350 -0.539
H -1.688 -3.312 0.275 0.270 0.164 0.245
C 1.261 -2.551 1.686 -0.292 0.299 1.525
C 0.330 -2.144 2.697 -0.028 0.448 -0.426
H 0.582 -1.767 3.690 -0.106 -0.166 -0.399
H -1.916 -2.211 2.738 0.283 -0.038 -0.161
H 0.942 -3.480 -0.329 -0.124 0.150 0.276
H 2.347 -2.518 1.769 -0.376 0.042 -0.014
Pb 0.267 0.243 0.982 0.141 0.482 0.463
Cl 2.798 0.499 0.867 -0.459 -0.099 -0.045
P 0.170 -0.225 -2.359 -0.182 -0.165 -1.592
C 1.428 -1.338 -3.038 0.176 -0.325 0.514
C 1.175 -2.167 -4.144 0.013 -0.032 0.059
H 0.193 -2.155 -4.619 0.316 -0.012 0.042
C 2.187 -3.000 -4.623 -0.084 0.110 0.032
H 1.993 -3.628 -5.492 0.056 0.160 0.217
C 3.438 -3.029 -4.001 -0.115 0.203 0.141
H 4.228 -3.672 -4.390 -0.267 0.167 0.111
C 3.681 -2.233 -2.875 -0.117 -0.009 -0.134
H 4.654 -2.257 -2.386 -0.279 -0.009 -0.097
C 2.679 -1.403 -2.383 -0.241 0.210 -0.051
H 2.841 -0.800 -1.484 0.088 -0.161 -0.311
C -1.471 -0.755 -2.910 -0.050 0.016 0.629
C -1.868 -2.096 -2.695 -0.088 0.130 -0.034
H -1.148 -2.819 -2.305 -0.223 0.196 -0.160
C -3.176 -2.486 -2.972 0.216 0.096 -0.058
H -3.472 -3.526 -2.826 0.070 0.349 -0.048
C -4.104 -1.544 -3.437 0.220 0.090 0.034
H -5.126 -1.854 -3.657 0.289 0.101 0.088
C -3.727 -0.207 -3.611 0.121 -0.086 -0.001
H -4.455 0.529 -3.956 0.217 -0.240 0.092
C -2.421 0.194 -3.340 0.045 -0.084 0.083
H -2.127 1.239 -3.452 -0.122 -0.309 -0.034
C 0.493 1.455 -2.955 0.067 0.635 0.624
C 1.121 1.669 -4.193 0.018 0.000 0.086
H 1.407 0.815 -4.810 -0.065 0.302 0.134
C 1.374 2.974 -4.621 -0.091 -0.044 0.160
H 1.843 3.139 -5.592 -0.133 -0.055 0.301
C 1.039 4.064 -3.810 -0.069 -0.293 0.098
H 1.251 5.080 -4.145 -0.048 -0.316 0.089
C 0.438 3.857 -2.562 -0.060 -0.069 -0.074
H 0.182 4.709 -1.927 0.109 -0.325 -0.215
C 0.162 2.561 -2.132 0.108 -0.386 -0.322
H -0.310 2.390 -1.158 0.130 0.169 -0.335
O -2.022 1.121 2.755 1.299 0.383 0.207
C -0.971 1.582 3.227 -0.269 -0.274 -0.019
O 0.122 1.852 2.543 -0.572 -0.869 -0.449
C -0.771 1.799 4.699 -0.008 0.209 0.880
C -1.830 2.189 5.542 0.494 -0.161 -0.248
C -1.593 2.424 6.894 0.470 -0.098 0.305
C -0.303 2.222 7.425 -0.387 -0.357 -2.368
C 0.755 1.795 6.597 -0.593 0.186 0.463
C 0.514 1.600 5.244 -0.190 0.099 -0.178
N -0.052 2.464 8.804 0.685 0.587 3.578
O -0.988 2.865 9.531 1.613 -0.773 -1.620
O 1.104 2.262 9.240 -2.141 0.327 -1.000
H -2.828 2.319 5.120 0.305 -0.010 0.145
H -2.387 2.763 7.556 0.197 -0.104 -0.148
H 1.742 1.635 7.021 -0.231 0.065 -0.051
H 1.347 1.303 4.600 -0.415 0.163 0.186
```
Forces are in eV/Å.

Values from the calculation:
Total charge: +1
E in eV: -68228.1584
F_max in eV/Å: 3.690

---

[2]
# C30H24F10N7O5Zr
+++
-- The article goes on --
多处理模块通过创建新的 Python 进程来工作,这些进程将导入您的模块。如果您没有添加 _ _ name _ _ = =’_ _ main _ _’保护,那么您将进入一个永无止境的创建新进程的循环。它是这样的:
Your module is imported and executes code during the import that cause multiprocessing to spawn 4 new processes.
Those 4 new processes in turn import the module and executes code during the import that cause multiprocessing to spawn 16 new processes.
Those 16 new processes in turn import the module and executes code during the import that cause multiprocessing to spawn 64 new processes.
So the idea is that you make sure that the process spawning only happens once. And that is achieved most easily with the idiom of the name== ‘main’ protection.
所以我们的想法是确保进程只产生一次。使用“ _ _ name _ _ = =’_ _ main _ _’保护”这个习惯用语可以最容易地实现这一点。
在 Windows 机器上运行multiprocess时,将脚本中的所有内容放在 if _ _ name _ _ = =’_ _ main _ _’: 块中运行,这样多进程才能工作。
if __name__ == '__main__':
from multiprocessing import freeze_support
import uncertainpy as un
import chaospy as cp
from multiprocessing import Process, freeze_support
from valderrama import valderrama
# Initialize the model
model = un.Model(run=valderrama,
labels=["Time (ms)", "Membrane potential (mV)"])
# Define a parameter list
parameters = {"V_0": -10,
"C_m": 1,
"gbar_Na": 120,
"gbar_K": 36,
"gbar_L": 0.3,
"m_0": 0.0011,
"n_0": 0.0003,
"h_0": 0.9998,
"E_Na": 112,
"E_K": -12,
"E_l": 10.613}
# Create the parameters
parameters = un.Parameters(parameters)
# Set all parameters to have a uniform distribution
# within a 20% interval around their fixed value
# Perform the uncertainty quantification
Between two parts of the text: calculated molecules:
Version one
This record from the Open Molecules 2025 dataset describes a molecular structure, C30H28Cl2IN4O7RuS. The level of theory is the ωB97M-V functional and the def2-TZVPD basis.

Properties
⟨S²⟩ ... 8.86
LUMO (spin up / spin down) ... -0.038 / -0.075 hartree
Multiplicity ... 6

CARTESIAN COORDINATES (ANGSTROEM)
Ru  0.892  0.028  -0.488
Cl  0.852  3.428  6.536
C  0.615  2.738  4.950
C  0.311  3.569  3.874
C  0.112  3.035  2.628
Cl  -0.350  4.105  1.337
C  0.223  1.642  2.336
O  -0.071  1.203  1.162
C  0.518  0.839  3.474
C  0.567  -0.604  3.419
O  0.680  -1.286  2.422
C  0.690  1.386  4.754
H  0.213  4.635  4.024
H  0.504  -1.107  4.402
H  0.876  0.725  5.591
O  5.609  -3.680  3.391
C  5.810  -3.905  2.076
O  6.782  -4.498  1.699
C  4.771  -3.380  1.135
C  4.620  -4.095  -0.126
C  3.779  -3.667  -1.095
C  3.012  -2.483  -0.894
C  2.981  -1.838  0.449
C  4.055  -2.273  1.383
N  2.287  -1.829  -1.795
C  2.077  -2.260  -3.016
C  1.385  -1.442  -3.991
C  1.201  -1.939  -5.283
C  0.607  -1.132  -6.232
C  0.234  0.151  -5.869
C  0.443  0.556  -4.558
N  0.988  -0.215  -3.623
H  4.725  -3.310  3.525
H  5.260  -4.952  -0.285
H  3.753  -4.180  -2.046
H  2.071  -2.245  0.927
H  4.187  -1.700  2.295
H  2.438  -3.232  -3.346
H  1.532  -2.939  -5.525
H  0.444  -1.493  -7.238
H  -0.220  0.830  -6.576
H  0.158  1.552  -4.253
O  -2.560  -0.594  3.246
S  -2.870  -0.154  1.836
C  -4.139  -1.274  1.211
C  -5.445  -0.846  1.863
C  -5.492  0.666  1.638
C  -4.098  1.193  1.993
H  -3.798  -2.282  1.441
H  -4.163  -1.130  0.128
H  -5.406  -1.073  2.930
H  -6.309  -1.358  1.439
H  -6.266  1.155  2.229
H  -5.704  0.870  0.586
H  -4.004  1.471  3.044
H  -3.772  2.027  1.373
C  -3.812  2.899  -2.369
N  -2.397  2.706  -2.075
C  -1.527  3.742  -2.188
C  -0.224  3.635  -1.859
C  0.176  2.352  -1.388
O  1.365  2.054  -1.000
N  -0.660  1.316  -1.368
C  -2.006  1.443  -1.589
O  -2.832  0.576  -1.417
H  -3.909  3.696  -3.102
H  -4.362  3.161  -1.464
H  -4.222  1.975  -2.765
H  -1.957  4.667  -2.549
H  0.467  4.459  -1.918
I  -0.744  -2.064  -0.472
C  2.769  -0.337  0.286
H  3.426  0.077  -0.485
H  2.852  0.236  1.214

***

Version two
This record from the Open Molecules 2025 dataset describes a molecular structure, C30H28Cl2IN4O7RuS. The level of theory is the ωB97M-V functional and the def2-TZVPD basis.

Properties
⟨S²⟩ ... 8.82
LUMO (spin up / spin down) ... -0.017 / -0.065 hartree
Multiplicity ... 6

CARTESIAN COORDINATES (ANGSTROEM)
Ru  -0.330  -0.104  -1.223
Cl  2.751  5.843  2.728
C  2.277  4.359  1.965
C  2.936  3.930  0.820
C  2.553  2.758  0.206
Cl  3.437  2.257  -1.199
C  1.484  1.947  0.671
O  1.134  0.887  0.013
C  0.883  2.388  1.883
C  -0.167  1.671  2.616
O  -0.597  0.553  2.422
C  1.268  3.590  2.488
H  3.748  4.511  0.404
H  -0.596  2.277  3.439
H  0.759  3.912  3.388
O  -2.526  7.038  1.646
C  -1.533  6.434  0.945
O  -0.584  7.073  0.588
C  -1.704  4.983  0.652
C  -0.929  4.428  -0.364
C  -1.026  3.090  -0.673
C  -1.890  2.239  0.035
C  -2.655  2.797  1.069
UQ = un.UncertaintyQuantification(model,
# We set the seed to easier be able to reproduce the result
data = UQ.quantify(seed=10)
Expanding a bit on the good answer you already got, it helps if you understand what Linux-y systems do. They spawn new processes using fork(), which has two good consequences:
如果您了解 Linux-y 系统的功能,那么对您已经得到的好答案进行一点扩展将会有所帮助。它们使用 fork ()产生新的进程,这有两个好的结果:
All data structures existing in the main program are visible to the child processes. They actually work on copies of the data.
The child processes start executing at the instruction immediately following the fork() in the main program - so any module-level code already executed in the module will not be executed again.
子进程在主程序的 fork ()之后的指令处立即开始执行-因此在模块中已经执行的任何模块级代码都不会再次执行。
fork() isn’t possible in Windows, so on Windows each module is imported anew by each child process. So:
fork ()在 Windows 中是不可能的,所以在 Windows 中每个子进程都会重新导入每个模块。因此:
On Windows, no data structures existing in the main program are visible to the child processes; and,
在 Windows 上,主程序中现有的数据结构对子进程不可见;
All module-level code is executed in each child process.
So you need to think a bit about which code you want executed only in the main program. The most obvious example is that you want code that creates child processes to run only in the main program - so that should be protected by name == ‘main’. For a subtler example, consider code that builds a gigantic list, which you intend to pass out to worker processes to crawl over. You probably want to protect that too, because there’s no point in this case to make each worker process waste RAM and time building their own useless copies of the gigantic list.
因此,您需要考虑一下只希望在主程序中执行哪些代码。最明显的例子是,您希望创建子进程的代码仅在主程序中运行——因此应该由 _ _ name _ _ = =’_ _ main _ _’保护。对于一个更微妙的示例,考虑构建一个巨大列表的代码,您打算将这个列表传递给工作进程以进行爬行。您可能也想保护它,因为在这种情况下没有必要让每个工作进程浪费 RAM 和时间构建它们自己的巨大列表的无用副本。
Note that it’s a Good Idea to use name == “main” appropriately even on Linux-y systems, because it makes the intended division of work clearer. Parallel programs can be confusing - every little bit helps;
请注意,即使在 Linux-y 系统上适当地使用 _ _ name _ _ = = “ _ _ main _ _”也是一个好主意,因为它使预期的工作分工更加清晰。并行程序可能会让人感到困惑——每一点都有帮助.